Launch Process And Certification

Once development nears completion, the integrator and Google can start the certification and launch process. The launch process consists of end to end testing across devices and form factors.

Testing will occur in 3 phases:

  • Integration testing
  • Finance testing
  • Dogfood

Some of the phases can overlap such as integration and finance testing.

Once testing is complete and both parties are satisfied with the integration, staged launch can occur.

Integration Testing

The purpose of integration testing is to verify that all API requests/responses and user experiences are handled correctly. The list of tests that Google will perform can be found in the integration testing doc.

The integrator and Google will set up weekly meetings during this period to debug issues and answer any questions. Additionally, Google will create a hangouts group for low response time chats.

The integrator and Google should setup some overlap working time to ensure that questions and bugs are resovled in a timely manner.

Google will test the integration in two environments:

  • Google sandbox -> integrator sandbox
  • Google prod -> integrator prod

For each environment the integrator is expected to provide:

  • API end point URLs
  • Sample accounts preloaded with funds
  • APK for authorization if necessary

To test their endpoints the integrator can use the Imali integration testing tool. Once ready, Google will enable the production configuration allowing whitelisted users to see the payment method on Google properties.

Finance Testing

Finance testing consists of verifying both that the integrator is able to successfully remit to Google and that Google is able to automatically match the payment.

As part of testing, Google asks the integrator to perform five different remittance scenarios:

  • Successful match with memoLineId
  • Overpay
  • Underpay
  • Overpay > 5%
  • Underpay > 5%

Google will send the integrator several remittanceStatementNotifications, and the integrator should pay according to one of these scenarios. Google will notify the integrator beforehand to intiate the finance testing flow.

Once both parties are ready, dogfood testing can begin. Finance testing can also occur during dogfood if timelines are compressed.


Dogfooding allows Google and the integrator to test real world end user experience. Google will enable the form of payment on Google properties such as Play for Googlers. This enables local testing across a mix of devices, connections and OS versions.

Dogfood testing must occur in both the integrator's and Google's production envrionment.

Dogfood typically occurs for two weeks before launch. During this period the integrator and Google can expect to have daily syncs on the status of outstanding issues.

By the end of dogfood all launch blocking issues should be resolved. Dogfood can be extended if additional testing or fixes need to occur.

Once all three phases have been successfully completed, testing and certification is complete.


Both the integrator and Google need to give approval for launch.

'''
# 1
For CaSn5O7, a structure optimized by DFT (GGA-PBE) gives the calculated PXRD pattern in this record (CuKα).
Neutral-atom scattering factors, no anomalous dispersion.

abc: 3.2306 10.7512 23.0487
angles: 90.00 90.00 90.00
Space group Cmcm (No. 63)
Asymmetric unit:
Ca1 0.0000 0.1859 0.2500
Sn1 0.0000 0.0000 0.0000
Sn2 0.0000 0.2745 0.5844
Sn3 0.0000 0.4510 0.1668
O1 0.0000 0.0721 0.1503
O2 0.0000 0.1837 0.6834
O3 0.0000 0.3733 0.0833
O4 0.0000 0.4722 0.7500

The 10 most intense peaks (10° ≤ 2θ ≤ 90°), sorted by position:
h k l	d_spacing	I_rel
0 2 6	3.125	100
1 1 2	2.988	20
1 1 3	2.870	28
1 1 4	2.726	26
1 3 1	2.387	28
1 3 2	2.349	32
1 3 3	2.290	20
0 0 12	1.921	20
1 5 5	1.669	20
2 2 6	1.435	21


# 2
For CaSnO3, a structure optimized by DFT (GGA-PBE) gives the calculated PXRD pattern in this record (CuKα).
Neutral-atom scattering factors, no anomalous dispersion.

abc: 5.5707 5.5707 15.4856
angles: 90.00 90.00 120.00
Space group R-3 (No. 148, hexagonal axes)
Asymmetric unit:
Ca1 0.0000 0.0000 0.1373
Sn1 0.0000 0.0000 0.3457
O1 0.0200 0.6321 0.9237

The 10 most intense peaks (10° ≤ 2θ ≤ 90°), sorted by position:
h k l	d_spacing	I_rel
0 0 3	5.162	58
1 0 1	4.606	36
0 1 2	4.095	46
1 0 4	3.019	98
1 1 0	2.785	100
2 -1 3	2.451	56
0 2 4	2.047	40
2 -1 6	1.893	72
3 -1 4	1.650	38
3 0 0	1.608	37


# 3
For CaSnO3, a structure optimized by DFT (GGA-PBE) gives the calculated PXRD pattern in this record (CuKα).
Neutral-atom scattering factors, no anomalous dispersion.

abc: 5.7562 8.0014 5.5831
angles: 90.00 90.00 90.00
Space group Pnma (No. 62)
Asymmetric unit:
Ca1 0.0535 0.2500 0.0143
Sn1 0.0000 0.0000 0.5000
O1 0.0421 0.7500 0.3931
O2 0.2005 0.5562 0.8031

The 10 most intense peaks (10° ≤ 2θ ≤ 90°), sorted by position:
h k l	d_spacing	I_rel
1 0 1	4.005	67
2 0 0	2.878	25
1 2 1	2.831	100
0 0 2	2.792	22
0 4 0	2.003	42
2 2 2	1.791	24
3 2 1	1.653	19
2 4 0	1.643	12
1 2 3	1.619	26
2 4 2	1.416	15
'''

Launch will start with a 1% roll out. Rolling out to 100% typically takes one month with the following roll out stages each lasting about a week.

  • 1% - Test for device issues
  • 5% - Widen pool of users and devices
  • 10% - Test for revenue impact
  • 50% - Test for scalability
  • 100% - Full launch